**Exercise**
What is needed: print all of the data further below character by character.

**Excerpt**
┌──
[1]
Density functional theory data (wB97M-V/def2-TZVPD) for C4H8ClOP in the gas phase at a distorted geometry.

Structure (XYZ):
```
15
Properties=species:S:1:pos:R:3
C -1.470 0.206 0.583
H 0.756 -0.706 1.448
H -2.516 0.209 0.424
P 0.825 -1.559 0.368
H -0.797 1.763 -0.919
H -1.586 -2.064 0.423
Cl 2.736 0.650 0.707
C -0.881 1.502 0.127
O 1.919 -0.110 -1.797
C 1.630 -0.045 -0.493
H -1.000 -0.924 -1.173
H -0.168 1.978 0.767
C -0.971 -1.145 -0.026
H 2.813 0.012 -2.058
H -1.290 0.231 1.620
```

## Properties
Energy above the lowest of the compared OMol25 structures with the same formula, charge and spin   5.726 eV
HOMO-LUMO gap (alpha / beta)   7.92 / 8.35 eV
HOMO energy (alpha / beta)   -7.50 / -8.18 eV
Energy   -1033.82447 Ha

Results of the natural (NBO) charge analysis, in e, for atoms 1 through 8: atom 1 (C): -0.495, atom 2 (H): -0.040, atom 3 (H): 0.218, atom 4 (P): 0.526, atom 5 (H): 0.168, atom 6 (H): 0.237, atom 7 (Cl): -0.064, atom 8 (C): -0.277

***

[2]
Density functional theory data (wB97M-V/def2-TZVPD) for a molecular structure, C4H8ClP at a distorted geometry.

Structure (XYZ):
```
14
Properties=species:S:1:pos:R:3
H -1.875 1.020 -0.528
H 0.630 -1.738 0.456
H -2.662 -0.283 0.258
H 2.689 1.293 -1.425
H -0.413 -1.777 -1.102
C -1.971 0.512 0.378
C 0.417 0.217 -0.283
H 0.006 0.889 -0.997
H -2.325 1.212 1.069
C -0.672 -0.156 0.727
P 2.753 0.929 0.052
C -0.014 -1.237 -0.191
Cl 3.916 -0.685 -0.153
H -0.479 -0.196 1.740
```

## Properties
Energy above the lowest of the compared OMol25 structures with the same formula, charge and spin   1.816 eV
HOMO-LUMO gap   8.96 eV
HOMO energy   -8.52 eV
Energy   -958.64058 Ha

Results of the natural (NBO) charge analysis, in e, for atoms 1 through 8: atom 1 (H): 0.199, atom 2 (H): 0.220, atom 3 (H): 0.211, atom 4 (H): -0.031, atom 5 (H): 0.226, atom 6 (C): -0.606, atom 7 (C): -0.273, atom 8 (H): 0.190

***

[3]
Density functional theory data (wB97M-V/def2-TZVPD) for C4H8F2 in the gas phase at a distorted geometry.

Structure (XYZ):
```
14
Properties=species:S:1:pos:R:3
C 1.414 -0.626 -0.326
H 2.446 -0.461 -0.600
F -1.173 1.429 1.246
H -1.472 0.766 -1.298
H 1.343 -1.505 0.345
H 0.904 -0.803 -1.261
F -0.755 -0.722 1.531
H 1.335 0.781 1.347
H -2.506 -0.181 -0.218
C -1.497 -0.038 -0.559
H -1.169 -0.978 -0.962
C -0.651 0.322 0.658
C 0.806 0.568 0.367
H 0.974 1.447 -0.269
```

## Properties
Energy above the lowest of the compared OMol25 structures with the same formula, charge and spin   0.000 eV
HOMO-LUMO gap   12.57 eV
HOMO energy   -11.52 eV
SMILES   CCC(C)(F)F
Energy   -356.95353 Ha

Results of the natural (NBO) charge analysis, in e, for atoms 1 through 8: atom 1 (C): -0.612, atom 2 (H): 0.216, atom 3 (F): -0.347, atom 4 (H): 0.221, atom 5 (H): 0.218, atom 6 (H): 0.203, atom 7 (F): -0.355, atom 8 (H): 0.222

***

[4]
Density functional theory data (wB97M-V/def2-TZVPD) for C4H8F2P4 in the gas phase at a distorted geometry.

Structure (XYZ):
```
18
Properties=species:S:1:pos:R:3
H 2.281 -2.378 0.472
P -0.436 1.011 -0.137
P 2.256 0.105 0.540
H 0.255 -0.289 1.824
H 0.210 -1.308 0.312
C -2.936 2.430 0.811
H -2.418 3.242 0.396
C 2.880 -1.517 0.930
F -1.920 -0.767 -3.743
H -0.129 -0.804 -1.731
H 4.002 -1.649 0.770
P -2.369 0.880 0.859
P -2.126 0.371 -2.551
H -4.068 2.523 1.055
C -0.825 -0.089 -1.578
F 2.224 -0.002 -1.093
C 0.493 -0.283 0.813
H 2.625 -1.475 2.052
```

## Properties
Energy above the lowest of the compared OMol25 structures with the same formula, charge and spin   0.000 eV
HOMO-LUMO gap   8.20 eV
HOMO energy   -8.40 eV
SMILES   C=P#P(/C=P/F)CP(C)F
Energy   -1722.31502 Ha

Results of the natural (NBO) charge analysis, in e, for atoms 1 through 8: atom 1 (H): 0.239, atom 2 (P): 0.486, atom 3 (P): 1.200, atom 4 (H): 0.250, atom 5 (H): 0.240, atom 6 (C): -0.822, atom 7 (H): 0.215, atom 8 (C): -1.015

***

[5]
Density functional theory data (wB97M-V/def2-TZVPD) for C4H8F3N in the gas phase.

Structure (XYZ):
```
16
Properties=species:S:1:pos:R:3
H -0.517 2.308 0.604
└──

**Reply**
[1]
Density functional theory data (wB97M-V/def2-TZVPD) for C4H8ClOP in the gas phase at a distorted geometry.

Structure (XYZ):
```
15
Properties=species:S:1:pos:R:3
C -1.470 0.206 0.583
H 0.756 -0.706 1.448
H -2.516 0.209 0.424
P 0.825 -1.559 0.368
H -0.797 1.763 -0.919
H -1.586 -2.064 0.423
Cl 2.736 0.650 0.707
C -0.881 1.502 0.127
O 1.919 -0.110 -1.797
C 1.630 -0.045 -0.493
H -1.000 -0.924 -1.173
H -0.168 1.978 0.767
C -0.971 -1.145 -0.026
H 2.813 0.012 -2.058
H -1.290 0.231 1.620
```

## Properties
Energy above the lowest of the compared OMol25 structures with the same formula, charge and spin   5.726 eV
HOMO-LUMO gap (alpha / beta)   7.92 / 8.35 eV
HOMO energy (alpha / beta)   -7.50 / -8.18 eV
Energy   -1033.82447 Ha

Results of the natural (NBO) charge analysis, in e, for atoms 1 through 8: atom 1 (C): -0.495, atom 2 (H): -0.040, atom 3 (H): 0.218, atom 4 (P): 0.526, atom 5 (H): 0.168, atom 6 (H): 0.237, atom 7 (Cl): -0.064, atom 8 (C): -0.277

***

[2]
Density functional theory data (wB97M-V/def2-TZVPD) for a molecular structure, C4H8ClP at a distorted geometry.

Structure (XYZ):
```
14
Properties=species:S:1:pos:R:3
H -1.875 1.020 -0.528
H 0.630 -1.738 0.456
H -2.662 -0.283 0.258
H 2.689 1.293 -1.425
H -0.413 -1.777 -1.102
C -1.971 0.512 0.378
C 0.417 0.217 -0.283
H 0.006 0.889 -0.997
H -2.325 1.212 1.069
C -0.672 -0.156 0.727
P 2.753 0.929 0.052
C -0.014 -1.237 -0.191
Cl 3.916 -0.685 -0.153
H -0.479 -0.196 1.740
```

## Properties
Energy above the lowest of the compared OMol25 structures with the same formula, charge and spin   1.816 eV
HOMO-LUMO gap   8.96 eV
HOMO energy   -8.52 eV
Energy   -958.64058 Ha

Results of the natural (NBO) charge analysis, in e, for atoms 1 through 8: atom 1 (H): 0.199, atom 2 (H): 0.220, atom 3 (H): 0.211, atom 4 (H): -0.031, atom 5 (H): 0.226, atom 6 (C): -0.606, atom 7 (C): -0.273, atom 8 (H): 0.190

***

[3]
Density functional theory data (wB97M-V/def2-TZVPD) for C4H8F2 in the gas phase at a distorted geometry.

Structure (XYZ):
```
14
Properties=species:S:1:pos:R:3
C 1.414 -0.626 -0.326
H 2.446 -0.461 -0.600
F -1.173 1.429 1.246
H -1.472 0.766 -1.298
H 1.343 -1.505 0.345
H 0.904 -0.803 -1.261
F -0.755 -0.722 1.531
H 1.335 0.781 1.347
H -2.506 -0.181 -0.218
C -1.497 -0.038 -0.559
H -1.169 -0.978 -0.962
C -0.651 0.322 0.658
C 0.806 0.568 0.367
H 0.974 1.447 -0.269
```

## Properties
Energy above the lowest of the compared OMol25 structures with the same formula, charge and spin   0.000 eV
HOMO-LUMO gap   12.57 eV
HOMO energy   -11.52 eV
SMILES   CCC(C)(F)F
Energy   -356.95353 Ha

Results of the natural (NBO) charge analysis, in e, for atoms 1 through 8: atom 1 (C): -0.612, atom 2 (H): 0.216, atom 3 (F): -0.347, atom 4 (H): 0.221, atom 5 (H): 0.218, atom 6 (H): 0.203, atom 7 (F): -0.355, atom 8 (H): 0.222

***

[4]
Density functional theory data (wB97M-V/def2-TZVPD) for C4H8F2P4 in the gas phase at a distorted geometry.

Structure (XYZ):
```
18
Properties=species:S:1:pos:R:3
H 2.281 -2.378 0.472
P -0.436 1.011 -0.137
P 2.256 0.105 0.540
H 0.255 -0.289 1.824
H 0.210 -1.308 0.312
C -2.936 2.430 0.811
H -2.418 3.242 0.396
C 2.880 -1.517 0.930
F -1.920 -0.767 -3.743
H -0.129 -0.804 -1.731
H 4.002 -1.649 0.770
P -2.369 0.880 0.859
P -2.126 0.371 -2.551
H -4.068 2.523 1.055
C -0.825 -0.089 -1.578
F 2.224 -0.002 -1.093
C 0.493 -0.283 0.813
H 2.625 -1.475 2.052
```

## Properties
Energy above the lowest of the compared OMol25 structures with the same formula, charge and spin   0.000 eV
HOMO-LUMO gap   8.20 eV
HOMO energy   -8.40 eV
SMILES   C=P#P(/C=P/F)CP(C)F
Energy   -1722.31502 Ha

Results of the natural (NBO) charge analysis, in e, for atoms 1 through 8: atom 1 (H): 0.239, atom 2 (P): 0.486, atom 3 (P): 1.200, atom 4 (H): 0.250, atom 5 (H): 0.240, atom 6 (C): -0.822, atom 7 (H): 0.215, atom 8 (C): -1.015

***

[5]
Density functional theory data (wB97M-V/def2-TZVPD) for C4H8F3N in the gas phase.

Structure (XYZ):
```
16
Properties=species:S:1:pos:R:3
H -0.517 2.308 0.604